Master’s in Sustainable Product-Service System Innovation (MSPI) Learn more at A master’s programme to prepare people to be sustainable product innovators (1+1 year)
Master’s in Sustainable Product-Service System Innovation (MSPI) MSPI students learn how to harness their creative talent to design products, services, and product-service systems that help companies create value, and society to reach socio- ecological sustainability. Graduates of the program are prepared to drive product innovation that both meets user needs and generates key competitive advantages in the expanding sustainability-driven market. Learn more at & Airbus Digital Corridor entry for Airbus Fly Your Idea competition where MSPI’12 went deep in the competition
3 Toolbox 2.0 for engineer of tomorrow What goes into the toolbox? - Building the engineers desktop 2.0 for ability to innovate sustainable product- services
4 INSPIRATION | IDEATION | IMPLEMENTATION Where do ideas come from? Having good ideas. Getting ideas out into the world. We train ability to identify needs/opportunities and transform them into solutions Tim Brown, IDEO ”Innovation Through Design Thinking”
5 to support the sustainable development of global economy and society to strengthen industry in the increasingly sustainability-driven global market for students to gain insight and knowledge of how different companies work Overall programme vision/purpose
6 From Stanford University, our partner in research 1.Human Values: ”What is desirable to people? What are people’s needs?” 2.Technology: ”What is possible to do with technology?” 3.Business: ”What is the capacity for survival?” What happens in the intersections? Design Innovation = the sweet spot we’re all looking for? MSPI miixing disciplines to deliver innovation!
7 Close industry/academia collaboration Programme planned and executed in close collaboration with Swedish industry »Aura Light »Blekinge Business Incubator »Cleantech Inn Sweden »Coresource »Dynapac Compaction Equipment »Ocean Harvesting Technologies »Sapa Heat Transfer »GKN Aerospace Engine Systems »Volvo Construction Equipment »Volvo Truck Corporation Thesis and course project collaboration Also close collaboration with state-of- the art in research on national and international level »Stanford University, Tokyo University, McGill University etc.
8 Academic goals for graduated students Introduce a strategic perspective of sustainability to a product innovation process in a company. »apply a strategic sustainability perspective within different technical competence areas Analyze sustainability challenges for an organization in a scientific manner »run sustainable innovation programmes/projects in companies and public organizations Use new methods and tools, and engineering skills, to work with sustainable product-and service innovation in close collaboration with industry. »contribute to a change through application and knowledge of different support tools and methods for sustainable product-service system innovatio Support a transition towards a more service-oriented economy. »create innovative strategies for attractive Product-Service System (PSS) offers
These materials data were left in the piece by mistake.
____________
The following is a DFT calculation (GGA-PBE) of crystalline Cs2TeOsS2 at its relaxed geometry.

CIF file:
```
data_Cs2TeOsS2
_chemical_formula_sum 'Cs8 Te4 Os4 S8'
_cell_length_a 14.097
_cell_length_b 7.453
_cell_length_c 10.263
_cell_angle_alpha 90.00
_cell_angle_beta 122.49
_cell_angle_gamma 90.00
_space_group_name_H-M_alt 'C 1 2/m 1'
_space_group_IT_number 12
loop_
_space_group_symop_operation_xyz
'x,y,z'
'-x,-y,-z'
'-x,y,-z'
'x,-y,z'
'x+1/2,y+1/2,z'
'-x+1/2,-y+1/2,-z'
'-x+1/2,y+1/2,-z'
'x+1/2,-y+1/2,z'
loop_
_atom_site_label
_atom_site_type_symbol
_atom_site_fract_x
_atom_site_fract_y
_atom_site_fract_z
Cs1 Cs 0.072 0.000 0.358
Cs2 Cs 0.218 0.500 0.838
Te1 Te 0.106 0.500 0.399
Os1 Os 0.101 0.500 0.144
S1 S 0.000 0.261 0.000
S2 S 0.216 0.000 0.769
```

Summary:
Raw total energy: -4.62 eV/atom
Total moment: 1.84 μB/f.u.
V: 37.90 A^3/atom

* * * * *

! PmHo2Au2 PBE relaxed; values from VASP
&SYSTEM
  ibrav = 0, nat = 10, ntyp = 3
/
ATOMIC_SPECIES
Pm 145.00 Pm.upf
Ho 164.93 Ho.upf
Au 196.97 Au.upf
CELL_PARAMETERS angstrom
8.2227 0.0000 0.0000
0.0000 8.2227 0.0000
0.0000 0.0000 3.7949
ATOMIC_POSITIONS crystal
Pm 0.0000 0.0000 0.0000
Pm 0.5000 0.5000 0.0000
Ho 0.1616 0.3384 0.5000
Ho 0.3384 0.8384 0.5000
Ho 0.6616 0.1616 0.5000
Ho 0.8384 0.6616 0.5000
Au 0.1312 0.6312 0.0000
Au 0.3688 0.1312 0.0000
Au 0.6312 0.8688 0.0000
Au 0.8688 0.3688 0.0000
! Space-group type   P4/mbm (127)
! DOS(E_F)   1.111 states/eV/atom
! Offset from the most stable computed form   0 meV/atom

! PmHo3Au4 PBE relaxed; values from VASP
&SYSTEM
  ibrav = 0, nat = 8, ntyp = 3
/
ATOMIC_SPECIES
Pm 145.00 Pm.upf
Ho 164.93 Ho.upf
Au 196.97 Au.upf
CELL_PARAMETERS angstrom
2.5481 1.4711 8.3974
-2.5481 1.4711 8.3974
0.0000 -2.9422 8.3974
ATOMIC_POSITIONS crystal
Pm 0.0000 0.0000 0.0000
Ho 0.2491 0.2491 0.2491
Ho 0.5000 0.5000 0.5000
Ho 0.7509 0.7509 0.7509
Au 0.1275 0.1275 0.1275
Au 0.3791 0.3791 0.3791
Au 0.6209 0.6209 0.6209
Au 0.8725 0.8725 0.8725
! Space-group type   R-3m (166)
____________
9 Industry goals for graduated students: Specific skills: »Ability to perform value innovation for industrial situations »Be able to understand product development processes and how sustainability can be included in them; »Coordinate close functional teams for product/service development, production, customer support, marketing/sales; »Participate in product & service planning: connecting engineering, business development, customer needs to anticipate future customers’ needs. Basic skills: »Be familiar with tools for ideation, customer value, innovation, product development, service development, sustainability assessment. »Have excellent presentations skills and be able to communicate PSS and do sustainability reporting, as well as to run workshops, demonstrate and use visualization tools for communication; »Extend traditional engineering competence into areas such as service development, including sustainability, innovation -and customer value thinking.
MSPI’12 Experience
12 Course project examples Finalists in Airbus Fly Your Idea 2010 Find more examples and theses on
15 Some details about MSPI 1+1 year »Students can come for 1 year and finish with a 60-credit Master’s, or »Stay for 2 years and finish with a 120-credit Master’s The goal is to graduate students who can go out and begin / continue working in industry! We also strive to keep some MSPI graduates on as PhD students – which in Sweden involves an additional 4-5 years of study (and a comfortable salary!).
16 Programme Overview 1+1 year First year one year Master Period 1Period 2Period 3Period 4 SeptemberNovemberMarch June For more info on courses,
17 Programme Overview 1+1 year Second year two year Master Period 1Period 2Period 3Period 4 SeptemberNovemberMarch June For more info on courses,
18 Programme Requirements and Application MSPIs need to: »Have a bachelor’s degree (or equivalent experience) in engineering, industrial design, industrial economy, or a closely-related field »Sufficient English language skills Applications for MSPI will be open until (at least) the end of February Information about the application can be found at and
19 Contacts Tobias Larsson Professor »Programme Director » Tony Thompson PhD candidate »Programme Coordinator »